Transcribe all of the entries further below with every line break kept.

<<<
(1)
# TlHPdAu2

A relaxed structure of TlHPdAu2 (PBE, the Alexandria database).

Cell and atoms, written as CIF:
```
data_TlHPdAu2
_chemical_formula_sum 'Tl1 H1 Pd1 Au2'
_space_group_name_H-M_alt 'P 4/m m m'
_space_group_IT_number 123
_space_group_name_Hall '-P 4 2'
_cell_length_a 4.746
_cell_length_b 4.746
_cell_length_c 3.568
_cell_angle_alpha 90.00
_cell_angle_beta 90.00
_cell_angle_gamma 90.00
loop_
_atom_site_label
_atom_site_fract_x
_atom_site_fract_y
_atom_site_fract_z
_atom_site_occupancy
Tl1 0.000 0.000 0.000 1
H1 0.500 0.500 0.500 1
Pd1 0.500 0.500 0.000 1
Au1 0.000 0.500 0.500 1
```

Values from the calculation:
DFT total energy (Ry per atom): -0.2486
Crystal system: tetragonal

(2)
# CaCuPAu

A relaxed structure of CaCuPAu (PBE, the Alexandria database).

Cell and atoms, written as CIF:
```
data_CaCuPAu
_chemical_formula_sum 'Ca2 Cu2 P2 Au2'
_space_group_name_H-M_alt 'P 4/n m m'
_space_group_IT_number 129
_cell_length_a 3.895
_cell_length_b 3.895
_cell_length_c 10.109
_cell_angle_alpha 90.00
_cell_angle_beta 90.00
_cell_angle_gamma 90.00
loop_
_space_group_symop_operation_xyz
'x,y,z'
'-x,-y,-z'
'-y+1/2,x,z'
'y+1/2,-x,-z'
'-x+1/2,-y+1/2,z'
'x+1/2,y+1/2,-z'
'y,-x+1/2,z'
'-y,x+1/2,-z'
'x+1/2,-y,-z'
'-x+1/2,y,z'
'-y,-x,-z'
'y,x,z'
'-x,y+1/2,-z'
'x,-y+1/2,z'
'y+1/2,x+1/2,-z'
'-y+1/2,-x+1/2,z'
loop_
_atom_site_label
_atom_site_fract_x
_atom_site_fract_y
_atom_site_fract_z
_atom_site_occupancy
Ca1 0.250 0.250 0.247 1
Cu1 0.250 0.750 0.000 1
P1 0.250 0.250 0.863 1
Au1 0.250 0.750 0.500 1
```

Values from the calculation:
DFT total energy (Ry per atom): -0.3166
Crystal system: tetragonal

(3)
# PuPaGa6

A relaxed structure of PuPaGa6 (PBE, the Alexandria database).

Cell and atoms, written as CIF:
```
data_PuPaGa6
_chemical_formula_sum 'Pu1 Pa1 Ga6'
_space_group_name_H-M_alt 'P 4/m m m'
_space_group_IT_number 123
_space_group_name_Hall '-P 4 2'
_cell_length_a 6.059
_cell_length_b 6.059
_cell_length_c 4.297
_cell_angle_alpha 90.00
_cell_angle_beta 90.00
_cell_angle_gamma 90.00
loop_
_atom_site_label
_atom_site_fract_x
_atom_site_fract_y
_atom_site_fract_z
_atom_site_occupancy
Pu1 0.000 0.000 0.000 1
Pa1 0.500 0.500 0.000 1
Ga1 0.000 0.500 0.000 1
Ga2 0.248 0.248 0.500 1
```

Values from the calculation:
DFT total energy (Ry per atom): -0.4136
Crystal system: tetragonal

~~~~~

## Ca2BrO (GGA-PBE)

Data for an optimized crystal structure of Ca2BrO.

distance to the lowest polymorph of the same formula = 703 meV per atom
M_tot = 0.4 Bohr magnetons per cell
E_form (uncorrected) = -5.2 eV/f.u.
volume = 77.0 Å³/cell
space group = Fm-3m, No. 225

```
data_Ca2BrO
_space_group_name_H-M_alt 'P 1'
_space_group_IT_number 1
_space_group_name_Hall 'P 1'
_cell_length_a 4.776
_cell_length_b 4.776
_cell_length_c 4.776
_cell_angle_alpha 60.00
_cell_angle_beta 60.00
_cell_angle_gamma 60.00
loop_
_atom_site_label
_atom_site_type_symbol
_atom_site_fract_x
_atom_site_fract_y
_atom_site_fract_z
Ca1 Ca 0.250 0.250 0.250
Ca2 Ca 0.750 0.750 0.750
Br1 Br 0.000 0.000 0.000
O1 O 0.500 0.500 0.500
```
>>>

(1)
# TlHPdAu2

A relaxed structure of TlHPdAu2 (PBE, the Alexandria database).

Cell and atoms, written as CIF:
```
data_TlHPdAu2
_chemical_formula_sum 'Tl1 H1 Pd1 Au2'
_space_group_name_H-M_alt 'P 4/m m m'
_space_group_IT_number 123
_space_group_name_Hall '-P 4 2'
_cell_length_a 4.746
_cell_length_b 4.746
_cell_length_c 3.568
_cell_angle_alpha 90.00
_cell_angle_beta 90.00
_cell_angle_gamma 90.00
loop_
_atom_site_label
_atom_site_fract_x
_atom_site_fract_y
_atom_site_fract_z
_atom_site_occupancy
Tl1 0.000 0.000 0.000 1
H1 0.500 0.500 0.500 1
Pd1 0.500 0.500 0.000 1
Au1 0.000 0.500 0.500 1
```

Values from the calculation:
DFT total energy (Ry per atom): -0.2486
Crystal system: tetragonal

(2)
# CaCuPAu

A relaxed structure of CaCuPAu (PBE, the Alexandria database).

Cell and atoms, written as CIF:
```
data_CaCuPAu
_chemical_formula_sum 'Ca2 Cu2 P2 Au2'
_space_group_name_H-M_alt 'P 4/n m m'
_space_group_IT_number 129
_cell_length_a 3.895
_cell_length_b 3.895
_cell_length_c 10.109
_cell_angle_alpha 90.00
_cell_angle_beta 90.00
_cell_angle_gamma 90.00
loop_
_space_group_symop_operation_xyz
'x,y,z'
'-x,-y,-z'
'-y+1/2,x,z'
'y+1/2,-x,-z'
'-x+1/2,-y+1/2,z'
'x+1/2,y+1/2,-z'
'y,-x+1/2,z'
'-y,x+1/2,-z'
'x+1/2,-y,-z'
'-x+1/2,y,z'
'-y,-x,-z'
'y,x,z'
'-x,y+1/2,-z'
'x,-y+1/2,z'
'y+1/2,x+1/2,-z'
'-y+1/2,-x+1/2,z'
loop_
_atom_site_label
_atom_site_fract_x
_atom_site_fract_y
_atom_site_fract_z
_atom_site_occupancy
Ca1 0.250 0.250 0.247 1
Cu1 0.250 0.750 0.000 1
P1 0.250 0.250 0.863 1
Au1 0.250 0.750 0.500 1
```

Values from the calculation:
DFT total energy (Ry per atom): -0.3166
Crystal system: tetragonal

(3)
# PuPaGa6

A relaxed structure of PuPaGa6 (PBE, the Alexandria database).

Cell and atoms, written as CIF:
```
data_PuPaGa6
_chemical_formula_sum 'Pu1 Pa1 Ga6'
_space_group_name_H-M_alt 'P 4/m m m'
_space_group_IT_number 123
_space_group_name_Hall '-P 4 2'
_cell_length_a 6.059
_cell_length_b 6.059
_cell_length_c 4.297
_cell_angle_alpha 90.00
_cell_angle_beta 90.00
_cell_angle_gamma 90.00
loop_
_atom_site_label
_atom_site_fract_x
_atom_site_fract_y
_atom_site_fract_z
_atom_site_occupancy
Pu1 0.000 0.000 0.000 1
Pa1 0.500 0.500 0.000 1
Ga1 0.000 0.500 0.000 1
Ga2 0.248 0.248 0.500 1
```

Values from the calculation:
DFT total energy (Ry per atom): -0.4136
Crystal system: tetragonal

~~~~~

## Ca2BrO (GGA-PBE)

Data for an optimized crystal structure of Ca2BrO.

distance to the lowest polymorph of the same formula = 703 meV per atom
M_tot = 0.4 Bohr magnetons per cell
E_form (uncorrected) = -5.2 eV/f.u.
volume = 77.0 Å³/cell
space group = Fm-3m, No. 225

```
data_Ca2BrO
_space_group_name_H-M_alt 'P 1'
_space_group_IT_number 1
_space_group_name_Hall 'P 1'
_cell_length_a 4.776
_cell_length_b 4.776
_cell_length_c 4.776
_cell_angle_alpha 60.00
_cell_angle_beta 60.00
_cell_angle_gamma 60.00
loop_
_atom_site_label
_atom_site_type_symbol
_atom_site_fract_x
_atom_site_fract_y
_atom_site_fract_z
Ca1 Ca 0.250 0.250 0.250
Ca2 Ca 0.750 0.750 0.750
Br1 Br 0.000 0.000 0.000
O1 O 0.500 0.500 0.500
```